********
The following is a theoretical powder diffractogram of Li2CrO3. It was derived from a crystal structure in the Materials Project, relaxed with GGA+U, using a wavelength of 1.5418 Å.

Largest 10 diffraction maxima, by intensity, 10° ≤ 2θ ≤ 90°:
| 2θ/deg | I (rel.) |
| --- | --- |
| 18.81 | 100 |
| 22.23 | 48 |
| 30.22 | 45 |
| 54.15 | 32 |
| 43.49 | 29 |
| 22.65 | 25 |
| 30.60 | 21 |
| 53.47 | 20 |
| 33.81 | 12 |
| 47.55 | 11 |

Structural model:
a = 9.049 Å, b = 5.842 Å, c = 5.354 Å
α = 90.00°, β = 117.90°, γ = 90.00°
Space group C2/c (No. 15)
Symmetry-distinct sites (fractional):
Li 0.161 0.078 0.076 x8
Cr 0.000 0.414 0.250 x4
O 0.000 0.111 0.250 x4
O 0.150 0.433 0.066 x8

=====

The following is a theoretical powder diffractogram of LiCrO3. It was derived from a crystal structure in the Materials Project, relaxed with GGA+U, using a wavelength of 1.5418 Å.

Largest 8 diffraction maxima, by intensity, 10° ≤ 2θ ≤ 90°:
| 2θ/deg | I (rel.) |
| --- | --- |
| 24.19 | 100 |
| 49.55 | 31 |
| 34.48 | 31 |
| 55.88 | 30 |
| 72.70 | 15 |
| 77.90 | 12 |
| 61.77 | 11 |
| 83.00 | 5 |

Structural model:
a = 3.679 Å, b = 3.679 Å, c = 3.679 Å
α = 90.00°, β = 90.00°, γ = 90.00°
Space group Pm-3m (No. 221)
Symmetry-distinct sites (fractional):
Li 0.000 0.000 0.000 x1
Cr 0.500 0.500 0.500 x1
O 0.000 0.500 0.500 x3

=====

The following is a theoretical powder diffractogram of Li8CrO6. It was derived from a crystal structure in the Materials Project, relaxed with GGA+U, using a wavelength of 1.5418 Å.

Largest 10 diffraction maxima, by intensity, 10° ≤ 2θ ≤ 90°:
| 2θ/deg | I (rel.) |
| --- | --- |
| 24.67 | 100 |
| 18.38 | 71 |
| 32.12 | 36 |
| 33.19 | 33 |
| 57.27 | 32 |
| 32.97 | 29 |
| 40.92 | 23 |
| 16.31 | 22 |
| 52.95 | 18 |
| 54.08 | 16 |

Structural model:
a = 5.5725 Å, b = 5.5725 Å, c = 10.8677 Å
α = 90.00°, β = 90.00°, γ = 120.00°
Space group P6_3cm (No. 185)
Symmetry-distinct sites (fractional):
Li 0.0000 0.3146 0.0000 x6
Li 0.0000 0.3903 0.3616 x6
Li 0.3333 0.6667 0.1403 x4
Cr 0.0000 0.0000 0.2275 x2
O 0.0000 0.0000 0.3982 x2
O 0.0000 0.3096 0.1828 x6
O 0.3333 0.6667 0.4501 x4

=====

The following is a theoretical powder diffractogram of LiCrO2. It was derived from a crystal structure in the Materials Project, relaxed with GGA+U, using a wavelength of 1.5418 Å.

Largest 10 diffraction maxima, by intensity, 10° ≤ 2θ ≤ 90°:
| 2θ/deg | I (rel.) |
| --- | --- |
| 18.35 | 100 |
| 43.14 | 56 |
| 62.80 | 30 |
| 43.33 | 28 |
| 35.51 | 27 |
| 37.19 | 15 |
| 62.66 | 15 |
| 35.62 | 14 |
| 79.24 | 13 |
| 47.31 | 13 |

Structural model:
a = 5.931 Å, b = 5.931 Å, c = 8.353 Å
α = 90.00°, β = 90.00°, γ = 90.00°
Space group I4_1/amd (No. 141, origin choice 2)
Symmetry-distinct sites (fractional):
Li 0.000 0.000 0.000 x8
Cr 0.000 0.000 0.500 x8
O 0.000 0.016 0.257 x16

=====

The following is a theoretical powder diffractogram of LiCr3O4. It was derived from a crystal structure in the Materials Project, relaxed with GGA+U, using a wavelength of 1.5418 Å.

Largest 10 diffraction maxima, by intensity, 10° ≤ 2θ ≤ 90°:
| 2θ/deg | I (rel.) |
| --- | --- |
| 43.30 | 100 |
| 36.31 | 79 |
| 17.25 | 77 |
| 34.91 | 39 |
| 57.79 | 37 |
| 35.84 | 36 |
| 62.89 | 27 |
| 56.44 | 21 |
| 21.28 | 16 |
| 58.98 | 16 |

Structural model:
a = 6.615 Å, b = 8.351 Å, c = 3.176 Å
α = 90.00°, β = 99.57°, γ = 90.00°
Space group C2/m (No. 12)
Symmetry-distinct sites (fractional):
Li 0.000 0.000 0.000 x2
Cr 0.000 0.500 0.000 x2
Cr 0.250 0.250 0.500 x4
O 0.000 0.256 0.000 x4
O 0.212 0.500 0.561 x4
********

Set down only the last part of the contents above, starting with the line that has "61.77".

| 61.77 | 11 |
| 83.00 | 5 |

Structural model:
a = 3.679 Å, b = 3.679 Å, c = 3.679 Å
α = 90.00°, β = 90.00°, γ = 90.00°
Space group Pm-3m (No. 221)
Symmetry-distinct sites (fractional):
Li 0.000 0.000 0.000 x1
Cr 0.500 0.500 0.500 x1
O 0.000 0.500 0.500 x3

=====

The following is a theoretical powder diffractogram of Li8CrO6. It was derived from a crystal structure in the Materials Project, relaxed with GGA+U, using a wavelength of 1.5418 Å.

Largest 10 diffraction maxima, by intensity, 10° ≤ 2θ ≤ 90°:
| 2θ/deg | I (rel.) |
| --- | --- |
| 24.67 | 100 |
| 18.38 | 71 |
| 32.12 | 36 |
| 33.19 | 33 |
| 57.27 | 32 |
| 32.97 | 29 |
| 40.92 | 23 |
| 16.31 | 22 |
| 52.95 | 18 |
| 54.08 | 16 |

Structural model:
a = 5.5725 Å, b = 5.5725 Å, c = 10.8677 Å
α = 90.00°, β = 90.00°, γ = 120.00°
Space group P6_3cm (No. 185)
Symmetry-distinct sites (fractional):
Li 0.0000 0.3146 0.0000 x6
Li 0.0000 0.3903 0.3616 x6
Li 0.3333 0.6667 0.1403 x4
Cr 0.0000 0.0000 0.2275 x2
O 0.0000 0.0000 0.3982 x2
O 0.0000 0.3096 0.1828 x6
O 0.3333 0.6667 0.4501 x4

=====

The following is a theoretical powder diffractogram of LiCrO2. It was derived from a crystal structure in the Materials Project, relaxed with GGA+U, using a wavelength of 1.5418 Å.

Largest 10 diffraction maxima, by intensity, 10° ≤ 2θ ≤ 90°:
| 2θ/deg | I (rel.) |
| --- | --- |
| 18.35 | 100 |
| 43.14 | 56 |
| 62.80 | 30 |
| 43.33 | 28 |
| 35.51 | 27 |
| 37.19 | 15 |
| 62.66 | 15 |
| 35.62 | 14 |
| 79.24 | 13 |
| 47.31 | 13 |

Structural model:
a = 5.931 Å, b = 5.931 Å, c = 8.353 Å
α = 90.00°, β = 90.00°, γ = 90.00°
Space group I4_1/amd (No. 141, origin choice 2)
Symmetry-distinct sites (fractional):
Li 0.000 0.000 0.000 x8
Cr 0.000 0.000 0.500 x8
O 0.000 0.016 0.257 x16

=====

The following is a theoretical powder diffractogram of LiCr3O4. It was derived from a crystal structure in the Materials Project, relaxed with GGA+U, using a wavelength of 1.5418 Å.

Largest 10 diffraction maxima, by intensity, 10° ≤ 2θ ≤ 90°:
| 2θ/deg | I (rel.) |
| --- | --- |
| 43.30 | 100 |
| 36.31 | 79 |
| 17.25 | 77 |
| 34.91 | 39 |
| 57.79 | 37 |
| 35.84 | 36 |
| 62.89 | 27 |
| 56.44 | 21 |
| 21.28 | 16 |
| 58.98 | 16 |

Structural model:
a = 6.615 Å, b = 8.351 Å, c = 3.176 Å
α = 90.00°, β = 99.57°, γ = 90.00°
Space group C2/m (No. 12)
Symmetry-distinct sites (fractional):
Li 0.000 0.000 0.000 x2
Cr 0.000 0.500 0.000 x2
Cr 0.250 0.250 0.500 x4
O 0.000 0.256 0.000 x4
O 0.212 0.500 0.561 x4